┌──
Starting from a GGA-PBE-relaxed structure, the powder diffraction line list of LiMnI3 was simulated for Cu Kα (λ = 1.5418 Å).

Peak list (10 most intense, 2θ from 15° to 90°, sorted by position)
| Position (°2θ) | I/Imax | hkl |
| --- | --- | --- |
| 24.24 | 100 | 0 3 1 |
| 25.69 | 27 | 2 2 0 |
| 26.56 | 86 | 2 1 1 |
| 26.89 | 35 | 0 0 2 |
| 32.84 | 17 | 2 3 1 |
| 34.93 | 29 | 2 4 0 |
| 37.53 | 42 | 2 2 2 |
| 42.99 | 25 | 2 5 1 |
| 45.92 | 22 | 0 3 3 |
| 51.31 | 29 | 4 3 1 |

```
data_LiMnI3
_chemical_formula_sum 'Li4 Mn4 I12'
_cell_length_a 8.1453
_cell_length_b 13.2286
_cell_length_c 6.6322
_cell_angle_alpha 90.00
_cell_angle_beta 90.00
_cell_angle_gamma 90.00
_space_group_name_H-M_alt 'A m a 2'
_space_group_IT_number 40
loop_
_space_group_symop_operation_xyz
'x,y,z'
'-x,-y,z'
'-x+1/2,y,z'
'x+1/2,-y,z'
'x,y+1/2,z+1/2'
'-x,-y+1/2,z+1/2'
'-x+1/2,y+1/2,z+1/2'
'x+1/2,-y+1/2,z+1/2'
loop_
_atom_site_label
_atom_site_type_symbol
_atom_site_fract_x
_atom_site_fract_y
_atom_site_fract_z
Li1 Li 0.0000 0.0000 0.0000
Mn1 Mn 0.2500 0.2105 0.4401
I1 I 0.0043 0.3311 0.2526
I2 I 0.2500 0.0222 0.2774
```
└──

Could you search the calculation results earlier on for the word "Kα" and give back each line that has it?

Starting from a GGA-PBE-relaxed structure, the powder diffraction line list of LiMnI3 was simulated for Cu Kα (λ = 1.5418 Å).